Smoking on the beaches | Barcelona becomes the first city in Spain to ban smoking on its beaches

07/25/2022 at 17:17

• Someone pasted materials data at this point:
........
[1]
GGA-PBE DyPb3, relaxed; total energy = -4.21 eV/atom; ΔH_f (0 K) = -0.28 eV per atom
1.0
4.898 0.000 0.000
0.000 4.898 0.000
0.000 0.000 4.898
Dy Pb
1 3
direct
0.000 0.000 0.000
0.000 0.500 0.500
0.500 0.000 0.500
0.500 0.500 0.000

---

[2]
GGA-PBE EuMg149, relaxed; total energy = -1.68 eV/atom; ΔH_f (0 K) = -0.02 eV per atom
1.0
15.992 0.000 0.000
-7.996 13.850 0.000
0.000 0.000 15.668
Eu Mg
1 149
direct
0.000 0.000 0.000
0.000 0.000 0.334
0.000 0.000 0.666
0.000 0.201 0.334
0.000 0.201 0.666
0.000 0.400 0.334
0.000 0.400 0.666
0.000 0.401 0.000
0.000 0.599 0.000
0.000 0.599 0.334
0.000 0.599 0.666
0.000 0.799 0.334
0.000 0.799 0.666
0.003 0.208 0.000
0.003 0.795 0.000
0.067 0.134 0.500
0.067 0.334 0.500
0.067 0.533 0.167
0.067 0.533 0.500
0.067 0.533 0.833
0.067 0.733 0.500
0.067 0.933 0.500
0.068 0.336 0.168
0.068 0.336 0.832
0.068 0.732 0.168
0.068 0.732 0.832
0.069 0.138 0.172
0.069 0.138 0.828
0.069 0.931 0.172
0.069 0.931 0.828
0.200 0.400 0.334
0.200 0.400 0.666
0.200 0.600 0.334
0.200 0.600 0.666
0.200 0.800 0.334
0.200 0.800 0.666
0.201 0.000 0.334
0.201 0.000 0.666
0.201 0.201 0.334
0.201 0.201 0.666
0.201 0.600 0.000
0.202 0.404 0.000
0.202 0.798 0.000
0.205 0.208 0.000
0.205 0.997 0.000
0.263 0.131 0.165
0.263 0.131 0.835
0.267 0.134 0.500
0.267 0.334 0.500
0.267 0.534 0.167
0.267 0.534 0.500
0.267 0.534 0.833
0.267 0.733 0.167
0.267 0.733 0.500
0.267 0.733 0.833
0.267 0.933 0.500
0.268 0.336 0.168
0.268 0.336 0.832
0.268 0.932 0.168
0.268 0.932 0.832
0.400 0.200 0.333
0.400 0.200 0.667
0.400 0.600 0.000
0.400 0.600 0.334
0.400 0.600 0.666
0.400 0.799 0.000
0.400 0.800 0.334
0.400 0.800 0.666
0.401 0.000 0.000
0.401 0.000 0.334
0.401 0.000 0.666
0.401 0.201 0.000
0.401 0.400 0.334
0.401 0.400 0.666
0.401 0.401 0.000
0.466 0.133 0.167
0.466 0.133 0.833
0.466 0.333 0.167
0.466 0.333 0.833
0.466 0.733 0.167
0.466 0.733 0.500
0.466 0.733 0.833
0.467 0.134 0.500
0.467 0.333 0.500
0.467 0.533 0.167
0.467 0.533 0.500
0.467 0.533 0.833
0.467 0.933 0.167
0.467 0.933 0.500
0.467 0.933 0.833
0.596 0.798 0.000
0.599 0.000 0.000
0.599 0.599 0.000
0.600 0.000 0.334
0.600 0.000 0.666
0.600 0.200 0.000
0.600 0.200 0.333
0.600 0.200 0.667
0.600 0.400 0.000
0.600 0.400 0.333
0.600 0.400 0.667
0.600 0.599 0.334
0.600 0.599 0.666
0.600 0.800 0.334
0.600 0.800 0.666
0.664 0.732 0.168
0.664 0.732 0.832
0.664 0.932 0.168
0.664 0.932 0.832
0.666 0.733 0.500
0.666 0.933 0.500
0.667 0.133 0.167
0.667 0.133 0.833
0.667 0.134 0.500
0.667 0.333 0.166
0.667 0.333 0.500
0.667 0.333 0.834
0.667 0.533 0.500
0.667 0.534 0.167
0.667 0.534 0.833
0.792 0.795 0.000
0.792 0.997 0.000
0.799 0.000 0.334
0.799 0.000 0.666
0.799 0.201 0.000
0.799 0.599 0.000
0.799 0.799 0.334
0.799 0.799 0.666
0.800 0.200 0.333
0.800 0.200 0.667
0.800 0.400 0.000
0.800 0.400 0.333
0.800 0.400 0.667
0.800 0.600 0.333
0.800 0.600 0.667
0.862 0.931 0.172
0.862 0.931 0.828
0.866 0.134 0.500
0.866 0.333 0.500
0.866 0.533 0.500
0.866 0.733 0.500
0.866 0.933 0.500
0.867 0.333 0.167
........


The new rule only allows tobacco in beach bars, foresees a significant improvement in pollution by cigarette butts and contemplates penalties of €30 for those users who fail to comply with it

the beaches of Barcelona become spaces smoke-free after the regulations were approved in the municipal plenary session last Friday. The new measure, which comes into force this week, will have €30 penalties for those bathers who do not comply with the regulations. The goodbye to tobacco has a specific exception: in beach bars it will be possible to continue smoking or using a device that releases nicotine.

Despite providing for this sanction, the city council considers that the regulations are being well received by all users and foresees that the fines will be minimal since during the pilot test carried out last summer, the majority of bathers who were informed that the beaches were smoke-free spaces accepted the regulations without much conflict.

During the pilot test carried out in the summer of 2021 on four of the 10 city beaches (Sant Miquel, Somorrostro, Nova Icària and Nova Marbella), it was possible to reduce 18% to 3% the percentage of people who smoked on the beach. These results have served as a relevant precedent when applying this measure definitively to the entire coastline of the city. To this end, an awareness campaign began in April this year that included informative sign distributed throughout all the beaches and with a team of informers who were informing users of the regulations. For ensuring compliance of the new regulations have, throughout the summer season, a total of 10 informers, one per beach, which will provide information to all people about the tobacco ban on the entire surface of the arena and in the bathing areas.

Benefit for health and the environment

With this new regulation, Barcelona has become the first city of the state to ban tobacco on all its beaches. In order to carry out the measure, the city council has relied on the state waste law, which enables municipalities to ban tobacco on the beaches to reduce butts. In Spain alone, it is estimated that five million butts end up in the sea each year. Eloi BadiaCouncilor for Climate Emergency and Ecological Transition, explained that during the pilot test the reduction of cigarette butts was 50%data that shows that this initiative generates a positive impact on the environment. On the Bogatell breakwater, he stressed this Monday that the butts “they are highly polluting elements that take 10 years to break down and therefore they pollute the sea water enormously”. In fact, Badia already highlighted in Friday’s plenary session that in addition to being beneficial for people’s health, the ban on cigarettes on the beach is beneficial for the planet’s.

Gemma TarafaCouncilor for Health, who appeared together with Badia to comment on the farewell to cigarettes in the arena, wanted to clarify that one of the main reasons for implementing this new measure is that the smoking is the leading cause of preventable mortality in the entire Spanish state. In addition, diseases derived from smoking not only affect smokers, but also people who consume smoke passively. For this reason, this first pilot test was carried out on some of Barcelona’s beaches, to evaluate the impact of the tobacco ban on the city’s coastline. “The data from the first pilot test has been very positive. When we do not intervene we have a 18% of people who smoke on the beachwhile on the intervened beaches, the percentage is reduced to 3%. This has a very positive impact on the health of people and the environment and that is why we decided to carry out the regulations and implement them on all the beaches”, explained Tarafa.
